In September 2018, the Conservative MP for Harrow East, Bob Blackman, chaired a public meeting held by the Hindu Forum of Britain at the House of Commons. Speakers included Satish Sharma, general secretary of the National Council of Hindu Temples UK, Conservative party donor Lord Jitesh Gadhia, and Varsha Mistry from the Hindu Association in the Metropolitan Police.
Many of those in attendance and speaking are regarded by critics as key proponents of UK Hindutva, the chief strand of Hindu nationalism. “Hindutva is basically a political ideology rather than religious,” says Amrit Wilson from South Asia Solidarity Group (SASG). “[It is] Islamophobic, it's misogynistic, and it's also linked to neoliberalism, to big business. This ideology has been filtered through the Hindu community for many years.” The Hindu Forum of Britain has itself been accused of links to Hindu nationalists in India.
In recent years, Hindu nationalists have formed close links with Conservatives like Bob Blackman. Their goal is to mobilise Hindu communities in the UK on issues such as the Kashmir conflict, tensions with Pakistan, and caste discrimination, leading some British Indians to view the current general election campaign as a question of defending the motherland. This is obviously controversial – and the National Council of Hindu Temples’ Satish Sharma himself has just been suspended for electioneering on behalf of the Conservatives, after the Charity Commission raised concerns.
At the meeting back in 2018, Blackman warned those present of Labour leader Jeremy Corbyn’s “dangerous” support of the Dalit movement, which seeks to address the stigma faced by so-called Untouchables, the lowest caste in Indian society. Concluding his speech, Blackman said that Indians contributed more to the UK than any ethnic group and were the most law-abiding, to much approval from his colleagues.
Over several years, Bob Blackman has worked to forge links with the British Indian community, but has also frequently rubbed shoulders with Hindu nationalists. In 2017, he was criticised for inviting Tapan Ghosh, a Hindu nationalist firebrand with links to far-right activist Tommy Robinson, to visit parliament. Blackman himself had also previously retweeted Tommy Robinson.
In March this year, Blackman attended an event called UK4Modi Car Rally in London (there were sister events in other UK cities), organised by the Overseas Friends of the BJP (OFBJP) UK. BJP is the party of India’s right-wing populist, Hindu nationalist prime minister Narendra Modi. In a video on the group’s website, Blackman, wearing a BJP-branded hat and scarf, takes to the stage to advise a crowd of BJP supporters to go away with one message in their minds: “How can I convince a hundred people to make sure they vote BJP in the elections?” before adding: “I look forward to coming back either here, or wherever we’re going to have the celebrations of a sweeping BJP victory and another five years of Shri Narendra Modi as prime minister.” Blackman has a photo of him with Modi as the background picture on his Twitter profile.
Wilson believes that Blackman is motivated both by right-wing ideological affinities, and the need to win votes in what is a marginal seat, Harrow East. “He thinks that the Hindu community is a vote bank which you can tap into very easily,” Wilson says.
Harrow East is a northwest London constituency, which in 2017 the Conservatives held against a Labour challenge by 1,757 votes. It has also been a bellwether since 1979, choosing the winning party in every election since Margaret Thatcher walked into Number 10.
The seat is the epitome of green suburbia: leafy streets lined with semi-detached houses behind hedgerows, plump cats idling along the pavements, and plenty of morning mist. It doesn’t seem like an obvious setting for a coordinated foreign interference campaign. But ahead of the December election claims are swirling around that foreign interference is exactly what is happening.
It has been reported by OpenDemocracy that “Hindu nationalists” are trying to influence the election result by spreading propaganda that Labour is an anti-India, anti-Hindu party. The OFBJP UK is one of the primary sources for these claims. OFBJP’s president Kuldeep Singh Shekhawat told the Times of India in November that the organisation was campaigning in 48 UK constituencies, almost exclusively on behalf of the Conservatives, and claimed it could swing the election result.
OFBJP’s ambitions are overblown, as Omar Khan, director of race and equality think tank Runnymede, points out. “The Indian vote is quite diverse, and as with all BAME groups, nowhere exceeds 50 per cent of the population. So it’s not really electorally viable only to appeal to one group,” Khan says. Besides, Hindus make up only 44 percent of the Indian population.
But Harrow East is the exception. More than 25 percent of the population is British Indian, the second highest in the UK, and the constituency also has the highest density of Gujarati Hindus in the country. “It is the one place where the appeal to Gujarati Hindu BJP-style politics can work,” Khan says; prime minister Modi is from the Gujarat region of India. As Harrow East is a marginal seat, appealing to the Hindu community’s relationship with India could make the difference between a Tory hold and a Labour gain come polling day on December 12.
Suresh Mangalagiri, the general secretary of the OFBJP, claims that the group’s president had been “misquoted in Times of India”. He tells me that OFBJP was not involved in UK politics and was not opposing any party. He adds, however, that the Indian community would not be supporting Labour “because of the Kashmir issue,” which he says is an “internal matter in India” over which Labour had erred by interfering with. “That is the reason Indian communities are angry at Labour. They are definitely not voting for them this time, under a Corbyn leadership.”
Among some British Indians in Harrow East, the Labour Party’s stance on Kashmir is certainly an issue on the doorstep. The long-standing territorial dispute between India and Pakistan over the Muslim-majority Kashmir region flared up in August this year when the Indian government revoked Kashmir’s special status, sending in troops and shutting down the internet. A motion condemning the Indian government’s actions was passed at the Labour party conference in September, though the only mention of Kashmir in the party’s manifesto merely criticises the Conservatives for not taking a “constructive role” on this and other crises including Yemen and Myanmar. Official party policy is that the political status of Kashmir is for India and Pakistan to resolve together.
So what’s going on? Bob Blackman – who has been the Honorable Member for Harrow East since 2010 – has long been cosying up to Hindu nationalists in a quest for votes. “He’s been working this tactic for a decade,” says Omar Khan, which Amrit Wilson and others concur with. And now the “new opportunities from technology make it easier for him to amplify the message,” Khan adds.
And so the future of a London suburban constituency could be being decided along the lines of a sectarian conflict originating 4,000 miles away. But who is stirring up these strong feelings within the local community and how?
In the lead up to the general election, Harrow’s British Hindu community have been subject to a blizzard of messages vilifying the Labour party over its perceived stance on India and Kashmir. “Some of it is a load of crap,” says one woman from Harrow, aged 34, who asked not to named. There were lots of memes and jokes about Corbyn, for example. “My family don’t usually take it seriously. It’s more like, ‘Look what I got sent, this is funny.’ But other people do take it seriously,” the woman says. There were also “messages to do with Labour supporting the Muslim community more than Hindus,” along with videos purporting to show this, such as clips featuring Corbyn alongside Muslims. The woman says that her older first-generation British Indian parents had a lot more concerns about Labour being more supportive of Muslims than Hindus, and had sometimes asked her whether messages related to this were true or not.
“The issue of India and Pakistan doesn’t matter much here, but British Indians tend to be patriotic [about India], especially the older generation,” the woman adds. “Our [younger] generation has to educate them sometimes.” While she sought to debunk false information where possible, this wasn’t necessarily a given in other families. “I don’t follow politics in India, but my parents do and they’re supportive of Modi. [Indian] families in general are quite patriotic.” Therefore Labour’s critical stance of Modi’s nationalistic government doesn’t play well in the community, which the woman says increasingly sees Labour as pro-Muslim. This led them to ask: “What are they doing for us?” she says. “It’s not that these people are thinking ‘why Muslims’, it’s more about why Muslims and not us too.”
Among others in the community, Islamophobic messages, quotes from far-right pundit Katie Hopkins, and messages about Labour supporting Pakistan have circulated, in conjunction with calls to vote Conservative. One video that went viral in recent days features a Hindi-language song heaping praise on Boris Johnson, showing him meeting Modi, and calling Corbyn “two-faced”. Former Conservative party chairman Sayeeda Warsi criticised the video on Twitter on Monday.
Anita Patel, aged 59, from Harrow, says she was a lifelong Labour supporter, but switched to the Conservatives in recent years. “I believe many Indians have become more Conservative, especially older people, as they have become more financially comfortable.” This was a common shift among older British Hindu voters, she feels. But Patel is also concerned about fake news. “We’re fed a lot of misinformation and we don’t know what to believe,” she says. Patel’s husband, also 59, says that he is cautious about messages he receives from friends in India, and often checks them online.
Another member of Harrow’s Hindu community, Sejal Kapadia, 47, who was born in Mumbai and came to live in the UK two decades ago, says that she has heard rumours about Labour becoming extreme, but that this won’t affect the way she voted. “I don’t think any of us would pay attention to what the BJP say because they’re a bunch of jokers,” Kapadia says. She also doesn’t closely follow Indian politics.
Labour activists, however, say that the message about the party being anti-India has had an impact. “I was canvassing in Harrow [recently] and three Hindu households told me they wouldn't be voting for Labour because they support terrorism in relation to Kashmir,” says Rosie Martin, who has been campaigning for Labour in several constituencies.
WhatsApp is not the only channel by which this information has spread – Facebook and word of mouth are also important. But the number of messages being circulated on WhatsApp during this election campaign has surprised many. Navin Shah, Labour’s Harrow East parliamentary candidate in the 2017 general election says it had taken on epidemic proportions during the current election campaign.
“Many, many Indians – probably most Indians – are getting [such messages] through their devices, very, very regularly – some really nasty stuff that’s completely fabricated,” Shah says. “And it is shameful because the election has taken the shape that I have never come across before, in terms of the kind of fundamentalism in one way or the other that is being perpetrated in all different directions.” Shah – who has been involved in Harrow’s local politics for more than a decade – has been critical of Labour’s handling of the Kashmir issue, but is deeply concerned by the anti-Labour WhatsApp campaign, which he believes is linked to local Conservative party figures.
British political parties haven’t had much success in making WhatsApp a successful tool for political campaigning. This is in stark contrast to India, where a sudden explosion of smartphoness and wide use of the Facebook-owned messaging service led to the country’s 2019 general election being called “the WhatsApp election” by the Financial Times. In the UK, British Indians are also more likely to stay in touch through large WhatsApp groups – and this means that – as has happened in India – information and misinformation can spread like wildfire.
Due to WhatsApp’s end-to-end encryption, it’s difficult to determine for sure who is crafting the viral messages people have been receiving. The Guardian did chalk up a message to Kapil Dudakia, a British Indian businessman whose interests include Crypto 247 (“the world’s first mobiles-based cryptocurrency hardware wallet” according to its Facebook page), and who has previously spoken on behalf of the Hindu Forum of Britain. “The Labour party is now the mouth-piece of the Pakistani government,” Dudakia’s message, as quoted by The Guardian, claimed. “It is anti-India, anti-Hindu and anti-Modi. So if there are any Indians who are still voting for Labour, or are still members of the Labour party – then respectfully I say, they are traitors to their ancestral land, to their family and friends in India and to their cultural heritage.” The top of the message read: “Pass this to every true Indian.”
== Misplaced records of crystals ==
- - -
# 1
This record from the Alexandria database describes crystalline PmZnGa5Pd2 at its relaxed geometry. The functional is GGA-PBE.

Values from the calculation:
Calculated density = 6.7 Mg/m³
E_tot = -0.13863 Ha/atom
Energy of formation from the pure elements = -2.406 eV per formula unit
Total moment = 0.00 μB per cell

a b c (Å): 4.261 4.261 10.476
angles (deg): 90.00 90.00 90.00
Fractional coordinates of all 9 atoms:
Pm 0.000 0.000 0.000
Zn 0.000 0.000 0.500
Ga 0.000 0.500 0.348
Ga 0.000 0.500 0.652
Ga 0.500 0.000 0.348
Ga 0.500 0.000 0.652
Ga 0.500 0.500 0.000
Pd 0.500 0.500 0.225
Pd 0.500 0.500 0.775

# 2
This record from the Alexandria database describes crystalline LaSn2Ru2 at its relaxed geometry. The functional is GGA-PBE.

Values from the calculation:
Calculated density = 9.5 Mg/m³
E_tot = -0.24002 Ha/atom
Energy of formation from the pure elements = -1.172 eV per formula unit
Total moment = 0.00 μB per cell

a b c (Å): 7.918 7.918 3.230
angles (deg): 90.00 90.00 90.00
Fractional coordinates of all 10 atoms:
La 0.000 0.000 0.000
La 0.500 0.500 0.000
Sn 0.150 0.350 0.500
Sn 0.350 0.850 0.500
Sn 0.650 0.150 0.500
Sn 0.850 0.650 0.500
Ru 0.142 0.642 0.000
Ru 0.358 0.142 0.000
Ru 0.642 0.858 0.000
Ru 0.858 0.358 0.000

# 3
This record from the Alexandria database describes crystalline Er6PbSe3S2 at its relaxed geometry. The functional is GGA-PBE.

Values from the calculation:
Raw formation energy = -1.5494 eV per atom
Calculated density = 8.9 Mg/m³
E_tot = -0.20943 Ha/atom
Total moment = 0.00 μB per cell

a b c (Å): 9.090 9.090 8.182
angles (deg): 103.40 103.40 25.55
Fractional coordinates of all 12 atoms:
Er 0.009 0.009 0.267
Er 0.327 0.327 0.427
Er 0.327 0.327 0.890
Er 0.673 0.673 0.110
Er 0.673 0.673 0.573
Er 0.991 0.991 0.733
Pb 0.500 0.500 0.000
Se 0.163 0.163 0.833
Se 0.500 0.500 0.500
Se 0.837 0.837 0.167
S 0.169 0.169 0.340
S 0.831 0.831 0.660

# 4
This record from the Alexandria database describes crystalline AcCeNd at its relaxed geometry. The functional is GGA-PBE.

Values from the calculation:
Polymorph energy (0 for the lowest one) = 0.13 eV/f.u.
Calculated density = 7.7 Mg/m³
E_tot = -0.17571 Ha/atom
Energy of formation from the pure elements = 0.466 eV per formula unit
Total moment = 3.94 μB per cell

a b c (Å): 12.476 5.761 6.120
angles (deg): 90.00 90.00 90.00
Fractional coordinates of all 12 atoms:
Ac 0.249 0.250 0.012
Ac 0.251 0.750 0.512
Ac 0.749 0.250 0.488
Ac 0.751 0.750 0.988
Ce 0.052 0.750 0.938
Ce 0.448 0.250 0.438
Ce 0.552 0.750 0.562
Ce 0.948 0.250 0.062
Nd 0.068 0.250 0.559
Nd 0.432 0.750 0.059
Nd 0.568 0.250 0.941
Nd 0.932 0.750 0.441

----------

1.
Computed, not measured: a geometry-optimized DyIn2Pd structure at the PBE level of DFT.

Geometry as CIF:
```
data_DyIn2Pd
_chemical_formula_sum 'Dy10 In20 Pd10'
_space_group_name_H-M_alt 'P 1'
_space_group_IT_number 1
_cell_length_a 10.8236
_cell_length_b 10.8236
_cell_length_c 10.8236
_cell_angle_alpha 100.45
_cell_angle_beta 100.45
_cell_angle_gamma 129.60
loop_
- - -
Dudakia, who says that WhatsApp and other modern communications tools could “be a force for good” in terms of freedom of expression, has written numerous columns and blog posts praising Modi’s government and attacking the Labour party. But despite the BJP’s initial pledge to campaign in 48 constituencies, Dudakia dismisses claims of “Indian interference” in the election. “India being the largest democracy, with PM Modi and his new government with a huge mandate, have got more than enough on their plate. Why would they waste their energy on our elections? The UK elections are just a little by-line in the Indian national narrative,” says Dudakia. “What's behind these claims?” he continues. “I guess the people behind such fake news and narrative are probably the same people who wish to bring in any notion of foreign interference into every debate – regardless of actual facts.”
When asked specifically about the message printed in The Guardian, Dudakia doesn’t deny writing it, only saying: “I have no issues if people and the media report facts. My issue is when the media attempt to twist things to fit their narrative. I of course object strongly when they print out and out lies. What I find interesting is that some national media make such attacks, but are very reluctant to offer me the right of reply. I can understand why, because I would expose their lies and bigotry.”
Dudakia and other individuals sending such messages are not working in a vacuum. Both Amrit Wilson and Navin Shah say that Hindu temples in and around Harrow are at the heart of the anti-Labour campaign. Videos have been circulated of anti-Labour sermons being delivered from pulpits. And in Harrow, the Conservative party has selected candidates for council seats taken directly from the committees of local Hindu temples. Shah told me of two council seats that had been “rock solid Labour for years” until the Conservatives selected candidates from local Hindu temples. In 2017, during a by-election for a long-held council seat, Labour selected a local party activist to stand. “What the Tories did is pick a non-activist – they picked somebody on the committee for the local temple [Nitesh Hirani],” says a Labour party source with intimate knowledge of local politics. “They plucked him, put him as a candidate and basically the temple ran the campaign. And they won.“
In 2017, the National Hindu Council of Temples UK (NHCTUK) and the Conservative MP Bob Blackman hosted Tapan Gosh at parliament, jointly. (As mentioned, the NHCTUK’s general secretary has just been suspended for supporting the Conservatives.) At the time Blackman defended his involvement: “[Gosh] did not make anti-Islamic remarks at the event. I can assure you had he voiced some of these comments, I would have challenged him." Blackman declined to comment for this article.
Wilson says that for years Hindu nationalists aligned to the Conservative party have also tried to stir up the issue of caste. Indian society is partially structured in a caste system and legislation in the UK parliament has attempted to halt caste-based discrimination. Labour MPs supporting this have been strongly criticised by some in the Hindu community, including Kapil Dudakia. Bob Blackman has spoken in parliament against caste-related legislation and and in October 2019 invited Dudakia to speak at a Diwali event, which was hosted by Blackman at the House of Commons. Blackman also has links to Manoj Ladwa, the director of communications for Narendra Modi’s 2014 election campaign, who is based in London. Blackman quoted and praised Ladwa in an open letter to Number 10 attacking Labour’s Kashmir stance, and Ladwa has frequently spoken approvingly of Blackman.
On the national stage, Blackman is the chief spokesperson for Hindu nationalists in parliament, having hosted numerous events for them at the House of Commons. But the links between Conservative politicians and Hindu nationalists now go up to the highest level of government – the home secretary Priti Patel, a staunch Modi supporter, has spoken in admiration of Rashtriya Swayamsevak Sangh (RSS), a paramilitary Hindu nationalist organisation widely seen as the parent organisation of Modi’s BJP. “The RSS is openly fascist, it was modelled on Mussolini's blackshirts,” Amrit Wilson says – RSS founder Keshav Baliram Hedgewar is even said to have been inspired by Mussolini's blackshirts for the movement's uniform. Hindu Swayamsevak Sangh (HSS) is RSS’s overseas wing, which attempts to advance Hindu nationalist ideology within Indian diaspora communities. It has branches in many countries, and is active in the UK.
Now, WhatsApp is seen as a key tool for the BJP and RSS’s efforts to coordinate Hindus internationally in defence of Modi’s government and to support the goals of Hindu nationalism. “These WhatsApp messages not only circulate very widely in India, but now the BJP is trying to build up a global community of Hindus,” says Wilson.
# Materials data, as found in the file
____________
Material: Ag2WBr
Method: DFT, PBE-GGA
State: relaxed

Summary:
V   19.96 A^3/atom
Crystal system   tetragonal
Energy relative to the lowest polymorph listed for this composition   0.651 eV per atom
Formation energy without anion corrections   1103 meV per atom
M_tot   0.4 μB per formula unit
Calculated density   9.971 g cm⁻³
SG   P4/mmm, No. 123

Unit cell a=5.4221 b=5.4221 c=2.7159 alpha=90.00 beta=90.00 gamma=90.00
Each line ends with the local moment (μB).
Fractional coordinates of all 4 atoms:
1 Ag 0.0000 0.0000 0.0000  0.01
2 Ag 0.5000 0.5000 0.0000  0.01
3 W 0.0000 0.5000 0.5000  0.20
4 Br 0.5000 0.0000 0.5000  0.11


Material: Sm2BiSbO8
Method: DFT, PBE-GGA
State: relaxed

Summary:
V   15.00 A^3/atom
Crystal system   monoclinic
Formation energy without anion corrections   -2062 meV per atom
M_tot   0.0 μB per formula unit
Calculated density   7.005 g cm⁻³
SG   C2/m, No. 12

Unit cell a=5.1396 b=5.1415 c=6.8205 alpha=89.95 beta=89.95 gamma=92.65
Fractional coordinates of all 12 atoms:
1 O 0.8116 0.1707 0.2357
2 O 0.2781 0.2779 0.0116
3 O 0.1884 0.8293 0.7643
4 O 0.2927 0.2924 0.4901
5 O 0.7073 0.7076 0.5099
6 O 0.1705 0.8115 0.2357
7 O 0.7219 0.7221 0.9884
8 O 0.8295 0.1885 0.7643
9 Sb 0.0000 0.0000 0.0000
10 Sm 0.4876 0.4876 0.7560
11 Sm 0.5124 0.5124 0.2440
12 Bi 0.0000 0.0000 0.5000


no.,Fermi-level density of states (states/eV/f.u.)
1,4.6
2,0.2

~~~~~

Entry 1:
# NdCoHg GGA-PBE optimized geometry
data_NdCoHg
_chemical_formula_sum 'Nd2 Co2 Hg2'
_symmetry_space_group_name_H-M 'P 1'
_symmetry_Int_Tables_number 1
_cell_length_a 4.003
_cell_length_b 5.195
_cell_length_c 6.839
_cell_angle_alpha 102.36
_cell_angle_beta 107.02
_cell_angle_gamma 90.00
loop_
_symmetry_equiv_pos_as_xyz
'x,y,z'
loop_
_atom_site_label
_atom_site_type_symbol
_atom_site_fract_x
_atom_site_fract_y
_atom_site_fract_z
Co1 Co 0.770 0.105 0.541
Co2 Co 0.230 0.895 0.459
Hg1 Hg 0.577 0.781 0.153
Hg2 Hg 0.423 0.219 0.847
Nd1 Nd 0.871 0.681 0.741
Nd2 Nd 0.129 0.319 0.259
# Total DFT energy (no corrections)   -4.26 eV per atom
# Calculated density   10.12 g cm⁻³
# Symmetry   No. 12
# Energy of formation from the pure elements   -0.20 eV/atom
# Calculated volume   132.5 Å³ per cell



Entry 2:
# Nd12Co5Hg GGA-PBE optimized geometry
data_Nd12Co5Hg
_chemical_formula_sum 'Nd12 Co5 Hg1'
_symmetry_space_group_name_H-M 'P 1'
_symmetry_Int_Tables_number 1
_cell_length_a 8.573
_cell_length_b 8.573
_cell_length_c 8.573
_cell_angle_alpha 108.38
_cell_angle_beta 110.68
_cell_angle_gamma 109.36
loop_
_symmetry_equiv_pos_as_xyz
'x,y,z'
loop_
_atom_site_label
_atom_site_type_symbol
_atom_site_fract_x
_atom_site_fract_y
_atom_site_fract_z
Nd1 Nd 0.518 0.816 0.702
Nd2 Nd 0.482 0.184 0.298
Nd3 Nd 0.886 0.184 0.702
Nd4 Nd 0.114 0.816 0.298
Nd5 Nd 0.695 0.683 0.377
Nd6 Nd 0.305 0.317 0.623
Nd7 Nd 0.305 0.683 0.988
Nd8 Nd 0.695 0.317 0.012
Nd9 Nd 0.809 0.609 0.800
Nd10 Nd 0.191 0.391 0.200
Nd11 Nd 0.191 0.990 0.800
Nd12 Nd 0.809 0.010 0.200
Co1 Co 0.621 0.621 0.000
Co2 Co 0.379 0.379 0.000
____________
On December 7, with five days of the campaign to go, shadow attorney general Shami Chakrabarti came to Harrow East, where she’s originally from, to campaign for the Labour party. The night before, she authored an article in The Guardian in which she attacked the “divisive nightmare” the Conservative party was sowing in Harrow East.
It was a cold Saturday morning and up to 200 Labour activists gathered outside Queensbury Station, near the end of the Jubilee Line, to greet Chakrabarti. She climbed onto a bench and addressed the crowd. “I was disgusted by what Bob Blackman is doing here,” she said. The crowd applauded.
This article was originally published by WIRED UK